Request:
It remains to start at the top of the material underneath and set down each line, ending with the one that has "0.781 0.082".

Source:
- - -
# RbCOF3, optimized geometry, DFT PBE-GGA
data_RbCOF3
_cell_length_a 5.743
_cell_length_b 7.438
_cell_length_c 9.013
_cell_angle_alpha 90.00
_cell_angle_beta 90.17
_cell_angle_gamma 90.00
_space_group_name_H-M_alt 'P 1'
_space_group_IT_number 1
loop_
_space_group_symop_operation_xyz
'x,y,z'
loop_
_atom_site_label
_atom_site_fract_x
_atom_site_fract_y
_atom_site_fract_z
Rb1 0.243 0.157 0.179
Rb2 0.243 0.343 0.679
Rb3 0.757 0.657 0.321
Rb4 0.757 0.843 0.821
C1 0.227 0.703 0.067
C2 0.227 0.797 0.567
C3 0.773 0.203 0.433
C4 0.773 0.297 0.933
O1 0.054 0.702 0.582
O2 0.054 0.798 0.082
O3 0.946 0.202 0.918
O4 0.946 0.298 0.418
F1 0.258 0.614 0.928
F2 0.258 0.886 0.428
F3 0.259 0.559 0.172
F4 0.259 0.941 0.672
F5 0.453 0.704 0.582
F6 0.453 0.796 0.082
F7 0.547 0.204 0.918
F8 0.547 0.296 0.418
F9 0.741 0.059 0.328
F10 0.741 0.441 0.828
F11 0.742 0.114 0.572
F12 0.742 0.386 0.072
# ΔE_f = -2.32 eV per atom
# E = -5.4574 eV per atom

----------

Entry 1
Density functional theory data (PBE with a Hubbard U) for a geometry-optimized LiCoPO4 structure.

Lattice parameters (Å, degrees): 5.037 5.037 15.941 88.45 91.55 110.16
Atoms (fractional coordinates):
Li: 0.250 0.701 0.243
P: 0.750 0.722 0.371
Li: 0.299 0.750 0.743
Co: 0.606 0.919 0.918
O: 0.364 0.156 0.959
Co: 0.394 0.081 0.082
Li: 0.750 0.299 0.757
O: 0.844 0.636 0.459
O: 0.082 0.390 0.691
Co: 0.919 0.606 0.582
P: 0.278 0.250 0.871
O: 0.569 0.435 0.647
P: 0.250 0.278 0.629
O: 0.918 0.610 0.309
O: 0.565 0.431 0.147
Li: 0.701 0.250 0.257
O: 0.181 0.955 0.636
O: 0.610 0.918 0.191
O: 0.435 0.569 0.853
O: 0.955 0.181 0.864
O: 0.819 0.045 0.364
O: 0.156 0.364 0.541
O: 0.390 0.082 0.809
O: 0.431 0.565 0.353
O: 0.636 0.844 0.041
O: 0.045 0.819 0.136
P: 0.722 0.750 0.129
Co: 0.081 0.394 0.418



Entry 2
Density functional theory data (PBE with a Hubbard U) for a geometry-optimized LiCoPO4 structure.

Lattice parameters (Å, degrees): 8.013 8.695 17.271 60.41 90.00 90.00
Atoms (fractional coordinates):
P: 0.244 0.643 0.913
P: 0.756 0.357 0.087
O: 0.428 0.572 0.402
Li: 0.509 0.252 0.440
Co: 0.667 0.317 0.265
O: 0.125 0.587 0.365
O: 0.760 0.151 0.132
O: 0.935 0.873 0.468
O: 0.719 0.082 0.826
O: 0.635 0.753 0.161
Li: 0.017 0.631 0.585
Co: 0.345 0.985 0.921
O: 0.229 0.227 0.711
P: 0.256 0.643 0.413
O: 0.781 0.082 0.326
Li: 0.848 0.004 0.247
O: 0.726 0.482 0.794
Li: 0.491 0.748 0.560
Li: 0.991 0.252 0.940
Co: 0.158 0.353 0.093
O: 0.875 0.413 0.635
Li: 0.517 0.369 0.915
Co: 0.655 0.015 0.079
Co: 0.342 0.353 0.593
O: 0.774 0.482 0.294
O: 0.446 0.261 0.324
Li: 0.348 0.996 0.253
O: 0.281 0.918 0.174
Li: 0.009 0.748 0.060
O: 0.072 0.572 0.902
Li: 0.483 0.631 0.085
O: 0.789 0.082 0.969
P: 0.720 0.684 0.730
O: 0.625 0.413 0.135
O: 0.865 0.753 0.661
O: 0.789 0.433 0.487
O: 0.711 0.433 0.987
O: 0.369 0.182 0.547
O: 0.729 0.773 0.789
Li: 0.652 0.004 0.747
O: 0.631 0.818 0.453
O: 0.565 0.873 0.968
O: 0.271 0.227 0.211
P: 0.780 0.684 0.230
O: 0.711 0.082 0.469
Co: 0.167 0.683 0.235
Co: 0.845 0.015 0.579
O: 0.289 0.567 0.013
P: 0.235 0.037 0.571
O: 0.554 0.739 0.676
O: 0.260 0.849 0.368
P: 0.735 0.963 0.929
O: 0.771 0.773 0.289
O: 0.289 0.918 0.531
Li: 0.152 0.996 0.753
O: 0.435 0.127 0.032
O: 0.054 0.261 0.824
P: 0.280 0.316 0.270
O: 0.219 0.918 0.674
Co: 0.833 0.317 0.765
O: 0.211 0.567 0.513
O: 0.240 0.849 0.868
O: 0.365 0.247 0.839
P: 0.765 0.963 0.429
O: 0.226 0.518 0.706
O: 0.375 0.587 0.865
P: 0.220 0.316 0.770
O: 0.131 0.182 0.047
Co: 0.658 0.647 0.407
O: 0.211 0.918 0.031
O: 0.572 0.428 0.598
Co: 0.842 0.647 0.907
O: 0.740 0.151 0.632
O: 0.274 0.518 0.206
Li: 0.983 0.369 0.415
O: 0.135 0.247 0.339
P: 0.265 0.037 0.071
O: 0.946 0.739 0.176
P: 0.744 0.357 0.587
O: 0.065 0.127 0.532
O: 0.928 0.428 0.098
Co: 0.333 0.683 0.735
O: 0.869 0.818 0.953
Co: 0.155 0.985 0.421



Entry 3
Density functional theory data (PBE with a Hubbard U) for a geometry-optimized LiCoPO4 structure.

Lattice parameters (Å, degrees): 4.722 10.340 6.230 90.00 90.00 90.00
Atoms (fractional coordinates):
O: 0.722 0.047 0.750
- - -

Here it is:
# RbCOF3, optimized geometry, DFT PBE-GGA
data_RbCOF3
_cell_length_a 5.743
_cell_length_b 7.438
_cell_length_c 9.013
_cell_angle_alpha 90.00
_cell_angle_beta 90.17
_cell_angle_gamma 90.00
_space_group_name_H-M_alt 'P 1'
_space_group_IT_number 1
loop_
_space_group_symop_operation_xyz
'x,y,z'
loop_
_atom_site_label
_atom_site_fract_x
_atom_site_fract_y
_atom_site_fract_z
Rb1 0.243 0.157 0.179
Rb2 0.243 0.343 0.679
Rb3 0.757 0.657 0.321
Rb4 0.757 0.843 0.821
C1 0.227 0.703 0.067
C2 0.227 0.797 0.567
C3 0.773 0.203 0.433
C4 0.773 0.297 0.933
O1 0.054 0.702 0.582
O2 0.054 0.798 0.082
O3 0.946 0.202 0.918
O4 0.946 0.298 0.418
F1 0.258 0.614 0.928
F2 0.258 0.886 0.428
F3 0.259 0.559 0.172
F4 0.259 0.941 0.672
F5 0.453 0.704 0.582
F6 0.453 0.796 0.082
F7 0.547 0.204 0.918
F8 0.547 0.296 0.418
F9 0.741 0.059 0.328
F10 0.741 0.441 0.828
F11 0.742 0.114 0.572
F12 0.742 0.386 0.072
# ΔE_f = -2.32 eV per atom
# E = -5.4574 eV per atom

----------

Entry 1
Density functional theory data (PBE with a Hubbard U) for a geometry-optimized LiCoPO4 structure.

Lattice parameters (Å, degrees): 5.037 5.037 15.941 88.45 91.55 110.16
Atoms (fractional coordinates):
Li: 0.250 0.701 0.243
P: 0.750 0.722 0.371
Li: 0.299 0.750 0.743
Co: 0.606 0.919 0.918
O: 0.364 0.156 0.959
Co: 0.394 0.081 0.082
Li: 0.750 0.299 0.757
O: 0.844 0.636 0.459
O: 0.082 0.390 0.691
Co: 0.919 0.606 0.582
P: 0.278 0.250 0.871
O: 0.569 0.435 0.647
P: 0.250 0.278 0.629
O: 0.918 0.610 0.309
O: 0.565 0.431 0.147
Li: 0.701 0.250 0.257
O: 0.181 0.955 0.636
O: 0.610 0.918 0.191
O: 0.435 0.569 0.853
O: 0.955 0.181 0.864
O: 0.819 0.045 0.364
O: 0.156 0.364 0.541
O: 0.390 0.082 0.809
O: 0.431 0.565 0.353
O: 0.636 0.844 0.041
O: 0.045 0.819 0.136
P: 0.722 0.750 0.129
Co: 0.081 0.394 0.418



Entry 2
Density functional theory data (PBE with a Hubbard U) for a geometry-optimized LiCoPO4 structure.

Lattice parameters (Å, degrees): 8.013 8.695 17.271 60.41 90.00 90.00
Atoms (fractional coordinates):
P: 0.244 0.643 0.913
P: 0.756 0.357 0.087
O: 0.428 0.572 0.402
Li: 0.509 0.252 0.440
Co: 0.667 0.317 0.265
O: 0.125 0.587 0.365
O: 0.760 0.151 0.132
O: 0.935 0.873 0.468
O: 0.719 0.082 0.826
O: 0.635 0.753 0.161
Li: 0.017 0.631 0.585
Co: 0.345 0.985 0.921
O: 0.229 0.227 0.711
P: 0.256 0.643 0.413
O: 0.781 0.082 0.326